Detailed room timetables with teachers and personal timetables are available only after login.

Timetables by study plan

Bachelor programs

Stavební inženýrství (B36SI)

study variant I (1. a 2. ročník - společná část, varianta I)
» enrollment from year 2020/21 including
study variant J (1. a 2. ročník - společná část, varianta J)
» enrollment from year 2020/21 including
specialization of study Pozemní stavby (36R0SIC)
» enrollment from year 2020/21 including
specialization of study Konstrukce a dopravní stavby (36R0SIK)
» enrollment from year 2020/21 including
specialization of study Vodní hospodářství a vodní stavby (36R0SIV)
» enrollment from year 2020/21 including
specialization of study Inženýrství životního prostředí (36R0SIZ)
» enrollment from year 2020/21 including
specialization of study Příprava, realizace a provoz staveb (36R0SIL)
» enrollment from year 2020/21 including
specialization of study Požární bezpečnost staveb (36R0SIQ)
» enrollment from year 2020/21 including
specialization of study Materiálové inženýrství (36R0SIM)
» enrollment from year 2020/21 including

Management a ekonomika ve stavebnictví (B36ME)

» enrollment from year 2020/21 to year 2021/22 including
» enrollment from year 2022/23 to year 2022/23 including
» enrollment from year 2023/24 including

Stavitelství (B36ST)

## Between two parts of the piece: data records
'''
[1]
A plane-wave DFT calculation with PBEsol was carried out for an optimized crystal structure of CuSbAu. Values from VASP.

Geometry as Quantum ESPRESSO input:
```
&SYSTEM
  ibrav = 0, nat = 3, ntyp = 3
/
ATOMIC_SPECIES
Sb 121.76 Sb.upf
Cu 63.55 Cu.upf
Au 196.97 Au.upf
CELL_PARAMETERS angstrom
-3.0805 0.6702 2.9493
-1.1866 -3.1974 2.6467
1.0245 0.1739 4.1901
ATOMIC_POSITIONS angstrom
Sb 0.0000 0.0000 0.0000
Cu -2.4319 -1.7650 7.3396
Au -1.6213 -1.1767 4.8931
```

## Properties
Raw total energy, eV/atom: -4.27
Symmetry: F-43m (216)
Formation energy without anion corrections, eV per formula unit: 0.01

[2]
A plane-wave DFT calculation with PBEsol was carried out for an optimized crystal structure of Mg2Sc. Values from VASP.

Geometry as Quantum ESPRESSO input:
```
&SYSTEM
  ibrav = 0, nat = 6, ntyp = 2
/
ATOMIC_SPECIES
Sc 44.96 Sc.upf
Mg 24.30 Mg.upf
CELL_PARAMETERS angstrom
3.2680 0.0000 0.0000
0.0000 5.1273 0.0000
-1.6340 0.0000 8.1443
ATOMIC_POSITIONS angstrom
Sc 1.6340 1.2818 7.1999
Sc 0.0000 3.8455 0.9443
Mg 0.0000 3.8455 6.3822
Mg 1.6340 1.2818 1.7620
Mg 0.0000 1.2818 4.4732
Mg 1.6340 3.8455 3.6711
```

## Properties
Raw total energy, eV/atom: -3.37
Symmetry: Cmcm (63)
Energy of formation, eV per atom: -0.02

[3]
A plane-wave DFT calculation with PBEsol was carried out for an optimized crystal structure of TaFeSeN2. Values from VASP.

Geometry as Quantum ESPRESSO input:
```
&SYSTEM
  ibrav = 0, nat = 5, ntyp = 4
/
ATOMIC_SPECIES
N 14.01 N.upf
Fe 55.84 Fe.upf
Se 78.96 Se.upf
Ta 180.95 Ta.upf
CELL_PARAMETERS angstrom
-3.6511 -0.8720 -1.1643
1.3724 -3.1078 -1.9760
-0.6501 -3.0225 4.3023
ATOMIC_POSITIONS angstrom
N 0.6862 -1.5539 -0.9880
N -1.8256 -0.4360 -0.5822
Fe -1.4644 -3.5012 0.5810
Se -0.3250 -1.5112 2.1511
Ta 0.0000 0.0000 0.0000
```

## Properties
Raw total energy, eV/atom: -8.05
Symmetry: P4/mmm (123)
Formation energy without anion corrections, eV per formula unit: 2.16

[4]
A plane-wave DFT calculation with PBEsol was carried out for an optimized crystal structure of ScCdPb2. Values from VASP.

Geometry as Quantum ESPRESSO input:
```
&SYSTEM
  ibrav = 0, nat = 4, ntyp = 3
/
ATOMIC_SPECIES
Pb 207.20 Pb.upf
Sc 44.96 Sc.upf
Cd 112.41 Cd.upf
CELL_PARAMETERS angstrom
-1.3208 -2.9541 0.8428
1.5235 0.1668 2.9720
-7.2018 4.2059 3.4556
ATOMIC_POSITIONS angstrom
Pb -5.4791 3.1998 2.6290
Pb -1.7228 1.0061 0.8266
Sc 0.1013 -1.3936 1.9074
Cd -3.4996 0.7093 3.6352
```

## Properties
Raw total energy, eV/atom: -4.00
Symmetry: P4/mmm (123)
Energy of formation, eV per atom: -0.05

[5]
A plane-wave DFT calculation with PBEsol was carried out for an optimized crystal structure of CuTcPt2. Values from VASP.

Geometry as Quantum ESPRESSO input:
```
&SYSTEM
  ibrav = 0, nat = 4, ntyp = 3
/
ATOMIC_SPECIES
Cu 63.55 Cu.upf
Tc 98.00 Tc.upf
Pt 195.08 Pt.upf
CELL_PARAMETERS angstrom
2.6781 0.0000 0.0000
0.0000 4.6963 0.0048
0.0000 -1.6060 4.4132
ATOMIC_POSITIONS angstrom
Cu 1.3391 1.5452 2.2090
Tc 1.3391 0.0000 0.0000
Pt 0.0000 2.3482 0.0024
'''
## The piece goes on

» enrollment from year 2019/20 including

Geodézie a kartografie (B36GK)

» enrollment from year 2021/22 to year 2022/23 including
» enrollment from year 2023/24 including

Architektura a stavitelství (B35AS)

» enrollment from year 2019/20 including

Civil Engineering (B36CE)

» enrollment from year 2020/21 including

Scénické technologie (B38SC)

» enrollment from year 2023/24 including

Master programs

Stavební inženýrství - pozemní stavby (N36PS)

specialization of study Projektování pozemních staveb (36T0PSP)
» enrollment from year 2023/24 including
specialization of study Statika pozemních staveb (36T0PSS)
» enrollment from year 2023/24 including

Stavební inženýrství - konstrukce a dopravní stavby (N36KD)

specialization of study Dopravní stavby a geotechnika (36T0KDDG)
» enrollment from year 2023/24 including
specialization of study Inženýrské konstrukce (36T0KDIK)
» enrollment from year 2023/24 including

Stavební inženýrství - materiály a diagnostika staveb (N36MD)

» enrollment from year 2024/25 including

Stavební inženýrství - řízení projektů (N36EP)

» enrollment from year 2023/24 including

Stavební inženýrství - vodní hospodářství a vodní stavby (N36VS)

» enrollment from year 2023/24 including

Stavební inženýrství - životní prostředí (N36ZP)

» enrollment from year 2023/24 including

Management a ekonomika ve stavebnictví (N36ME)

» enrollment from year 2023/24 including

Stavitelství - příprava, realizace a provoz staveb (N36ST)

» enrollment from year 2023/24 including

Budovy a prostředí (N36BP)

specialization of study Stavební fyzika (36T0BPSF)
» enrollment from year 2023/24 including
specialization of study Technická zařízení budov (36T0BPTZ)
» enrollment from year 2023/24 including

Buildings and Environment (N36BE)

» enrollment from year 2023/24 including

Integrální bezpečnost staveb (N36IQ)

» enrollment from year 2020/21 including

Geodézie a kartografie (N36GK)

» enrollment from year 2023/24 including
specialization of study Geomatika (36T0GKGM)
» enrollment from year 2023/24 including

Architektura a stavitelství (N35AS)

study focus Architektura a stavitelství
» enrollment from year 2019/20 including
study focus Architektura a urbanismus
» enrollment from year 2019/20 including
study focus Ochrana a obnova památek
» enrollment from year 2019/20 including

Civil Engineering (N3648)

branch of study Sustainable Constructions under Natural Hazards and Catastrophic Events (3607T053)

Civil Engineering (N3641)

branch of study Advanced Masters in Structural Analysis of Monuments and Historical Constructions (3607T044)

Civil Engineering (N36CE)

» enrollment from year 2023/24 including

Inteligentní budovy (N38IB)

» enrollment from year 2020/21 including

Water and Environmental Engineering (N36WE)

specialization of study Hydraulic Engineering (36T0WEHE)
» enrollment from year 2022/23 including
specialization of study Environmental Engineering and Science (36T0WEEE)
» enrollment from year 2022/23 including
specialization of study Water Management (36T0WEWM)
» enrollment from year 2022/23 including